Interview: Marina R.B Author Of Crystal Tear
"Crystal Tear" offers a unique perspective on the coming-of-age journey with Fada being in her twenties. Why did you feel it was essential to focus on this particular age group, and how does it differ from the traditional teenage protagonists in YA novels?
It seems to be commonly believed that the coming of age stage of people’s life will always happen in your teens. However for many people, myself included, it happens much later in life and I would often feel disconnected to YA books as a teenager because I believed something was wrong with me for not feeling ready for this part of my life to start already. Over the years, I have then met with many other individuals who would feel that way too and that’s how I decided to make Fada a twenty year-old rather than a teenage girl. Especially after the pandemic, I have noticed more and more people experiencing this aspect of their life in their twenties and I wanted to give people like them and me a character they could truly identify with. We need to realise that there is no shame to have in not having experienced our coming of age in our teens whether by choice or lack of opportunities.
Your background is rich in travel and experience, from growing up in France to studying in London and returning. How have these personal experiences influenced the setting and narrative of "Crystal Tear”?
Between two parts of the text: calculated crystals:
********
No. 1
Compound: NaFePO4
Source: Materials Project
Functional: PBE+U
Structure: relaxed

Theoretical density   3.391 g cm⁻³
Offset from the most stable computed form   40.4 meV/atom
Energy of formation from the pure elements   -2374 meV/atom

Lattice parameters (Å, degrees): 10.3451 6.3360 5.1940 90.00 90.00 90.00
With the nearest neighbours (Å) after each atom.
Space group Pnma (No. 62)
Unique sites:
Na: 0.0000 0.0000 0.0000 x4  4 O 2.30-2.43
Fe: 0.1625 0.2500 0.4917 x4  4 O 2.06-2.10
P: 0.1837 0.7500 0.4832 x4  4 O 1.56-1.58
O: 0.1165 0.5501 0.3724 x8  1 P 1.56
O: 0.1690 0.7500 0.7812 x4  1 P 1.56
O: 0.1704 0.2500 0.8954 x4  1 P 1.58

No. 2
Compound: RbNa3Fe7P6O24
Source: Materials Project
Functional: PBE+U
Structure: relaxed

Theoretical density   3.521 g cm⁻³
Energy of formation from the pure elements   -2378 meV/atom

Lattice parameters (Å, degrees): 13.1262 10.9370 15.9648 90.00 113.38 90.00
With the nearest neighbours (Å) after each atom.
Space group C2/c (No. 15)
Unique sites:
Rb: 0.0000 0.2464 0.2500 x4  8 O 3.04-3.39
Na: 0.0197 0.2392 0.5200 x8  4 O 2.28-2.45
Na: 0.2500 0.2500 0.0000 x4  2 O 2.30
Fe: 0.0000 0.1176 0.7500 x4  6 O 2.13-2.23
Fe: 0.0000 0.4150 0.7500 x4  6 O 2.11-2.29
Fe: 0.1841 0.4611 0.1254 x8  5 O 2.09-2.18
Fe: 0.1929 0.0006 0.1436 x8  5 O 2.09-2.19
Fe: 0.2500 0.2500 0.5000 x4  4 O 2.05-2.10
P: 0.0878 0.0011 0.4211 x8  4 O 1.55-1.57
P: 0.0931 0.4993 0.9284 x8  4 O 1.55-1.56
P: 0.2102 0.2695 0.7304 x8  4 O 1.53-1.58
O: 0.0300 0.4795 0.1378 x8  1 P 1.56
O: 0.0354 0.0130 0.6490 x8  1 P 1.57
O: 0.0871 0.2675 0.7235 x8  1 P 1.58
O: 0.1093 0.3837 0.9885 x8  1 P 1.55
O: 0.1101 0.0712 0.0098 x8  1 P 1.55
O: 0.1147 0.1388 0.4399 x8  1 P 1.55
O: 0.1408 0.3923 0.4953 x8  1 P 1.55
O: 0.1502 0.4815 0.8598 x8  1 P 1.56
O: 0.1525 0.0609 0.8690 x8  1 P 1.56
O: 0.2061 0.2826 0.1793 x8  1 P 1.53
O: 0.2123 0.1984 0.6459 x8  1 P 1.57
O: 0.2445 0.4068 0.7285 x8  1 P 1.57

No. 3
Compound: Na2TiFeP3O12
Source: Materials Project
Functional: PBE+U
Structure: relaxed

Theoretical density   2.987 g cm⁻³
Offset from the most stable computed form   0.9 meV/atom
Energy of formation from the pure elements   -2720 meV/atom

Lattice parameters (Å, degrees): 8.7337 8.8784 15.1419 106.49 90.08 119.44
With the nearest neighbours (Å) after each atom.
Space group P1 (No. 1)
Unique sites:
Na: 0.0000 0.0000 0.0000 x1  6 O 2.34-2.60
Na: 0.0099 0.7532 0.1384 x1  5 O 2.36-2.59
Na: 0.2334 0.4921 0.7690 x1  6 O 2.42-2.57
Na: 0.4716 0.9959 0.5092 x1  6 O 2.39-2.58
Na: 0.4956 0.7389 0.6349 x1  6 O 2.33-2.58
Na: 0.5513 0.7450 0.3180 x1  6 O 2.37-2.59
Na: 0.7352 0.4903 0.2682 x1  6 O 2.39-2.55
Na: 0.9335 0.2431 0.2030 x1  6 O 2.35-2.53
Ti: 0.0307 0.0640 0.6896 x1  6 O 1.91-2.02
Ti: 0.4578 0.9333 0.8382 x1  6 O 1.87-2.08
Ti: 0.7089 0.4261 0.5832 x1  6 O 1.93-2.01
Ti: 0.7725 0.5566 0.9350 x1  6 O 1.90-2.01
Fe: 0.2155 0.4319 0.0810 x1  6 O 1.95-2.10
Fe: 0.2641 0.5497 0.4380 x1  5 O 1.92-2.09
Fe: 0.5169 0.0561 0.1879 x1  6 O 1.97-2.10
********
As much as I love France and its culture, I cannot not help but feel disconnected from it and never truly believed like I belonged there. As young as 14 years old, I was already mentioning to my surrounding how I wanted to move to the UK as soon as secondary school would be finished and how I was drawn to it. Then at the age of 17, I moved to London and although feeling rather lonely at times, I still could not help but feeling like this was my home and despite all my loved ones being in France, I just knew deep within my heart that the biggest adventures of my life would be given to me if I remained in England. Just like Fada, my heart was torn between the feeling of finally belonging and missing my loved ones. Then the pandemic hit all of us, and not knowing when I would ever be allowed to travel again and see my family crushed me. I decided then to write that part of Fada’s story more in depth, now understanding how painful and scary it was to be left all alone, unable to hug the people she loves.
You mentioned feeling disconnected from teenage protagonists in coming-of-age novels even as a teen. Could you expand on this? Were there specific themes or events in YA novels that didn't resonate with you?
Being a teenager was alienating to me. I believe I went from being a child to being a grown-up with a child heart without ever reaching the teen spirit. Although I’ve often felt disconnected to the world and people around me, my teenage years brought that feeling the a deeper level. I suppose most teenagers go through this phase of being confused between childish behaviours and adult making decisions, but somehow, I felt like it was multiplied for me. Sex seemed to be in everybody’s head but for me, the idea of being intimate with anyone just did not feel right. I was interested in it, but I just knew that I was nowhere near ready to do such things in my teen years. And just like my main character, Fada, I found it hard to truly enjoy parties and gathering with other teenagers. I liked my friends and enjoyed spending time with them, but somehow something was missing, like I wanted to either continue playing childish games or take part of more grown up conversations. But that in-between behaviour left me very unfulfilled. The whole YA aspect such as experiencing with love or sex, partying, making bad decisions because we want to rebel, all those things felt like it happened too early. I eventually experienced and enjoyed those things, but much later than what most YA stories make you believe is the “right” age for them.
The fantasy element of "Crystal Tear" provides a rich backdrop to Fada's journey. How did the imaginary world of Hagalaz come to life in your mind?
Crystal Tear started on a snowy day, not long after my 16th birthday. I was sat by the window, staring at the fields around my family house, covered with snow. I instantly started to write down the precise description of this view. I read that whole text a few times and soon, the idea of a man with dark hair and piercing blue eyes appeared in my head. Gradually, the story started to build with more characters and events which eventually made sense, creating Fada’s journey. At first, the story of Fada discovering herself was what truly mattered to me but then, as I was using my fantasy world to tell her story, more and more background stories were starting to appear in my head and soon, I realised that I had created and entire world. I love the idea of having my own world, where I can do absolutely whatever I want, without being constrained by historical facts or Earthly rules.
Angel plays a pivotal role in introducing Fada to Hagalaz. Can you shed light on the inspiration behind his character and the symbolism of his name?
Like most things I write, it’s hard to explain how they come to me and what makes them what they are. For as long as I can remember, I’ve created characters and scenarios in my head before falling asleep and so I assume Angel has started as one of them. I also believe that everything we experience in life is somehow imprinted in us forever, so perhaps I have been inspired by a real person, or a fictional character. I do know that many of my favourite characters as a child happened to be men or boys with short black hair and blue eyes (Tuxedo mask from Sailor Moon, Eric from The Little Mermaid or Jean from Sophie’s Misfortunes). Perhaps those characters merged into one to create Angel in my head. As for his name, and like every name in my book, it came to me out of nowhere, as I was writing the story, the name just suddenly dropped from my head to my fingers and then to the pages of my laptop. I wish I could tell you I have put meaning behind it, and perhaps there is one on a subconscious level, but so far all I know is that it just appeared to me, just like he appeared in Fada’s life, out of the blue.
King Netis is another central figure in Fada's life in Hagalaz. How did you approach writing his character and his relationship dynamics with Fada?
**Next to the piece, the page also holds records of crystals**
/*
(1)
Ta2CrNO5 | GGA+U | optimized geometry

Geometry as POSCAR:
```
Ta2CrNO5
1.0
-1.341 -2.745 -3.650
5.028 -6.988 3.409
-7.576 -2.930 4.986
O Ta Cr N
20 8 4 4
direct
0.698 0.328 0.850
0.805 0.493 0.100
0.806 0.836 0.599
0.306 0.664 0.651
0.806 0.836 0.099
0.698 0.328 0.350
0.301 0.327 0.151
0.695 0.004 0.345
0.195 0.496 0.905
0.198 0.172 0.400
0.305 0.007 0.650
0.198 0.172 0.900
0.801 0.173 0.599
0.305 0.007 0.150
0.805 0.493 0.600
0.306 0.664 0.151
0.801 0.173 0.099
0.195 0.496 0.405
0.301 0.327 0.651
0.695 0.004 0.845
0.995 0.339 0.502
0.499 0.817 0.759
0.499 0.817 0.259
0.495 0.161 0.248
0.995 0.339 0.002
0.495 0.161 0.748
0.999 0.683 0.991
0.999 0.683 0.491
0.000 0.003 0.999
0.500 0.497 0.751
0.500 0.497 0.251
0.000 0.003 0.499
0.701 0.663 0.348
0.701 0.663 0.848
0.201 0.837 0.902
0.201 0.837 0.402
```

The value obtained for the piezoelectric modulus e_max is 1.4 C/m2. The theoretical density comes out at 8.03 g cm⁻³. The offset from the most stable computed form is 5 kJ/mol of formula units. The calculation puts the formation energy at -254.6 kJ/mol of atoms.

(2)
LiMn2PO6 | GGA+U | optimized geometry

Geometry as POSCAR:
```
LiMn2PO6
1.0
-3.063 -0.785 4.106
-4.737 -4.357 -4.367
6.263 -9.643 2.829
O P Mn Li
24 4 8 4
direct
0.496 0.486 0.124
0.250 0.288 0.250
0.001 0.820 0.015
0.504 0.514 0.876
0.250 0.212 0.750
0.004 0.014 0.624
0.501 0.180 0.985
0.001 0.680 0.515
0.996 0.514 0.876
0.501 0.320 0.485
0.499 0.680 0.515
0.750 0.115 0.210
0.750 0.712 0.750
0.750 0.788 0.250
0.250 0.885 0.790
0.250 0.615 0.290
0.996 0.986 0.376
0.504 0.986 0.376
0.004 0.486 0.124
0.999 0.320 0.485
0.750 0.385 0.710
0.999 0.180 0.985
0.496 0.014 0.624
0.499 0.820 0.015
0.250 0.470 0.205
0.750 0.970 0.295
0.250 0.030 0.705
0.750 0.530 0.795
0.250 0.790 0.425
0.750 0.210 0.575
0.750 0.812 0.590
0.250 0.312 0.910
0.250 0.710 0.925
0.750 0.688 0.090
0.750 0.290 0.075
0.250 0.188 0.410
0.750 0.516 0.440
0.750 0.984 0.940
0.250 0.016 0.060
0.250 0.484 0.560
```

The theoretical density comes out at 3.39 g cm⁻³. The calculation puts the formation energy at -220.5 kJ/mol of atoms.

(3)
Mn3O2F4 | GGA+U | optimized geometry

Geometry as POSCAR:
```
Mn3O2F4
1.0
-3.976 -2.568 0.992
1.105 -2.388 -4.057
5.189 -6.120 5.004
F O Mn
8 4 6
direct
0.289 0.289 0.675
0.711 0.711 0.325
0.195 0.805 0.500
0.805 0.195 0.500
0.187 0.804 0.833
0.196 0.813 0.167
0.804 0.187 0.833
0.813 0.196 0.167
0.678 0.678 0.671
0.303 0.303 0.998
0.322 0.322 0.329
0.697 0.697 0.002
0.503 0.503 0.842
0.000 0.000 0.000
0.500 0.500 0.500
0.973 0.973 0.669
0.497 0.497 0.158
0.027 0.027 0.331
```

The theoretical density comes out at 4.12 g cm⁻³. The offset from the most stable computed form is 13 kJ/mol of formula units. The calculation puts the formation energy at -243.7 kJ/mol of atoms.

(4)
BaV13O18 | GGA+U | optimized geometry

Geometry as POSCAR:
```
BaV13O18
1.0
-5.137 0.292 5.180
-3.743 -0.232 -6.955
4.278 -6.661 1.020
O Ba V
18 1 13
direct
0.952 0.336 0.552
0.717 0.555 0.615
0.158 0.072 0.441
*/
**The piece goes on**
Some readers have mentioned how they believe Netis to be a toxic character with lots of red flags and unfortunately, I cannot agree with that. He isn’t perfect, and has quite a few flaws (especially his short and bad temper at times) but I do not think this makes him a bad person. I believe there is good in everyone, and most importantly, I believe that nobody is born evil nor bad. Life and its many events and traumas shape us over the years and somehow we all react in different ways. As for Netis, his past is full of misfortunes and traumas, which is the reason why he might behave roughly at times. Human psychology is one of my many passions and I adore exploring the mind. I created Netis with the idea that he is a good person with difficulties showing it to the world because of how much he has been hurt in the past. The Beast from Beauty and the Beast has been an inspiration when creating Netis. The way he opens up to Belle and let her see his good side after trying to look like a cruel and insensitive being has been one of my biggest inspiration for Fada and Netis’ dynamics.
Many authors draw from personal experiences and emotions when crafting a story. Were there particular moments or feelings from your own life that found their way into "Crystal Tear”?
As I’ve mentioned previously, living in another country, far from the people I love whilst learning a new culture and language has been a huge inspiration to write Fada’s feelings. Many of my life experiences have been similar to Fada’s (minus the fantasy world unfortunately) and yet they all happened after writing the first draft of Crystal Tear. It’s almost as if, as a teenager, I had created what I believed my future would be like, and somehow it happened in real life too. When I wrote about Fada’s relationship with both Angel and Netis, I had not experienced love nor physical interactions yet. But years later, I’ve had my own stories with men and discovering what true love really is and how it can be misinterpreted, which felt strangely all too familiar as I had written something similar in my story years ago.
Your love for art is evident in your personal life. Did any of your passions, such as drawing, photography, or music, influence the narrative or descriptions within the book?
When I write, I see the scenes in my head, just like a film and so I tend to be fairly descriptive with characters’ features. When it comes to landscapes, similarly I can picture it like a drawing or a painting and therefore I describe it in such a way. Creating art makes you notice every little details around you and I believe I have done the same in my writing. I have also been listening to music a lot when writing, creating a playlist especially for that. For the scenes between Netis and Fada, I was listening to the same soundtrack in a loop and I believe that helped me translate the feelings between them even more.
Transitioning your writing from French to English is no small feat. What were some of the challenges you faced in this process, and how do you think the story evolved or changed as a result?
The current book has pretty much nothing to do with the first version which was in French. As well as translating it, I also reviewed it and therefore, even though the main story remains the same, the words are completely different. I would say that the French version was sort of a blueprint for it, showing me how each chapter would be built but the words weren’t really translated, as I decided to re-write everything with better wording but most importantly, better understanding of my characters and their journeys.
You began writing "Crystal Tear" at the age of 16 and refined it over several years. How did the narrative and characters grow or change as you matured?
When I started writing Crystal Tear, I had not come of age and therefore, most of Fada’s misadventures where purely fiction and not based of my experience at all. Over the years, I went through similar situation as her and therefore, I’ve had to change a few scenes to make it more realistic and closer to my reality.
Your consistent diary writing since the age of 11 is intriguing. How has this habit influenced your storytelling skills, and did any diary entries inspire events or emotions in "Crystal Tear”?
Writing my thoughts and feelings has always been my form of therapy. I am not one to talk out loud about the way I feel so every time I have been down, sad, grieving etc, writing has been my one and only friend. Crystal Tear starting as a sort of diary too. Expect for the fantasy elements, I have been using my own experiences and emotions but putting Fada’s voice on it. The writing style in Crystal Tear is pretty much the writing style of my diaries, which is my way to cope with my feelings and emotions whilst adding a fictional element to it.
Coming of age often involves facing and overcoming challenges. How did you strike a balance between fantasy elements and real-world issues to make the story relatable to readers?
I want Crystal Tear to feel like we are reading Fada’s memories or private diary and therefore, I wrote it the way I would have written my own diary, if that story would have happened to me. Although fantasy elements are presents, we can still identify with the characters because they are human beings nonetheless, going through life the same way we do on Earth. The fantasy aspect of Crystal Tear is more of a background for me, in order to create my own world with my own rules, laws, culture etc. Magic is a lot more present in Hagalaz than it is on Earth, and some background stories include a big chunk of magical elements but my main priority was to follow Fada’s journey and understanding the psychology behind it all.
How do you envision Fada's journey continuing? Can readers expect any sequels or spin-offs set in the world of Hagalaz?
I am currently writing the prequel to Crystal Tear, which will give answers to many questions readers have been asking me about. I also have planned on writing 2 sequels to Crystal Tear among many other stories from my world. I cannot say more about it without spoiling anything but I cannot wait for readers to discover all the fantastic journeys I have planned for my characters.
Having worked in various fields, from filmmaking to being an au-pair, how have these experiences contributed to your storytelling perspective?
I love analysing people and their behaviour. Looking after children is especially enlightening when it comes to human’s interactions because this is when personalities and experiences are starting to be built. Children have a unique and innocent way of viewing life, which is so different from most adults. But that’s also a great way of noticing how life can impact someone’s personality and natural behaviour. I am constantly analysing people’s behaviour, children or adults, which then gives me a fantastic blueprint for creating complex characters.
Lastly, what message or feeling do you hope readers take away from "Crystal Tear”?
I live by the saying “do not judge by appearances” and I cannot stretch enough how important it is to remember that proverb when reading Crystal Tear. Every behaviour which seems dumb or evil has a reason behind it and it’s important to remember that we are only reading a small portion of their lives. They have all gone through a lot before the beginning of the book and therefore, it’s important to keep your mind open and try to understand each character’s thought pattern. Same goes for life in general. People are judging and being misjudged constantly and I wish those behaviours could fade away.
You can purchase Marina R.B's, Crystal Tear at Waterstones, Foyles, Amazon & Cranthorpe Millner